Wanted
Next, find the line further down that holds "1.485, 62.54,", then retype that line and all lines after it there.

Listing
........
[1]
CeHoMgPt: calculated powder XRD pattern (Cu Kα (weighted mean of Kα1 and Kα2)), based on the GGA-PBE geometry in Alexandria.

Principal peaks in the range 2θ = 15–90°, in order of falling intensity:
index, d (Å), 2θ/deg, I/Imax
2 2 0, 2.565, 34.98, 100
4 2 2, 1.481, 62.73, 37
1 1 1, 4.189, 21.21, 24
4 0 0, 1.814, 50.30, 18
6 2 0, 1.147, 84.44, 16
3 1 1, 2.188, 41.26, 13
4 4 0, 1.283, 73.88, 11
3 3 1, 1.665, 55.18, 6
5 1 1, 1.396, 67.02, 4
5 3 1, 1.227, 77.89, 4

Structural model:
```
16
Lattice="7.2561 0.0000 0.0000 0.0000 7.2561 0.0000 0.0000 0.0000 7.2561" Properties=species:S:1:pos:R:3 pbc="T T T"
Ce 0.0000 0.0000 0.0000
Ce 0.0000 3.6281 3.6281
Ce 3.6281 0.0000 3.6281
Ce 3.6281 3.6281 0.0000
Ho 0.0000 0.0000 3.6281
Ho 0.0000 3.6281 0.0000
Ho 3.6281 0.0000 0.0000
Ho 3.6281 3.6281 3.6281
Mg 1.8140 1.8140 1.8140
Mg 1.8140 5.4421 5.4421
Mg 5.4421 1.8140 5.4421
Mg 5.4421 5.4421 1.8140
Pt 1.8140 1.8140 5.4421
Pt 1.8140 5.4421 1.8140
Pt 5.4421 1.8140 1.8140
Pt 5.4421 5.4421 5.4421
```

---

[2]
Ce2HoMnN5: calculated powder XRD pattern (Cu Kα (weighted mean of Kα1 and Kα2)), based on the GGA-PBE geometry in Alexandria.

Principal peaks in the range 2θ = 15–90°, in order of falling intensity:
index, d (Å), 2θ/deg, I/Imax
0 0 2, 2.817, 31.76, 100
2 1 1, 2.586, 34.69, 42
2 1 2, 2.024, 44.78, 27
1 1 1, 3.564, 24.99, 26
3 1 0, 2.058, 43.99, 19
2 1 0, 2.911, 30.71, 17
2 2 0, 2.301, 39.14, 16
2 0 3, 1.626, 56.60, 14
2 2 2, 1.782, 51.27, 14
3 1 2, 1.662, 55.28, 13

Structural model:
```
18
Lattice="6.5094 0.0000 0.0000 0.0000 6.5094 0.0000 0.0000 0.0000 5.6315" Properties=species:S:1:pos:R:3 pbc="T T T"
Ce 1.0922 2.1625 0.0000
Ce 2.1625 5.4172 0.0000
Ce 4.3469 1.0922 0.0000
Ce 5.4172 4.3469 0.0000
Ho 0.0000 0.0000 2.8157
Ho 3.2547 3.2547 2.8157
Mn 0.0000 3.2547 2.8157
Mn 3.2547 0.0000 2.8157
N 0.0000 0.0000 0.0000
N 0.9459 4.2006 1.5459
N 0.9459 4.2006 4.0856
N 2.3088 0.9459 1.5459
N 2.3088 0.9459 4.0856
N 3.2547 3.2547 0.0000
N 4.2006 5.5635 1.5459
N 4.2006 5.5635 4.0856
N 5.5635 2.3088 1.5459
N 5.5635 2.3088 4.0856
```

---

[3]
CeHo2N3: calculated powder XRD pattern (Cu Kα (weighted mean of Kα1 and Kα2)), based on the GGA-PBE geometry in Alexandria.

Principal peaks in the range 2θ = 15–90°, in order of falling intensity:
index, d (Å), 2θ/deg, I/Imax
1 1 0, 2.847, 31.42, 100
1 0 3, 2.466, 36.44, 72
2 0 0, 1.743, 52.49, 50
2 1 3, 1.488, 62.43, 30
2 2 0, 1.423, 65.58, 17
3 0 3, 1.103, 88.66, 15
1 3 0, 1.485, 62.54, 15
2 3 3, 1.131, 85.95, 13
1 4 3, 1.101, 88.84, 8
3 1 0, 1.132, 85.85, 6

Structural model:
```
12
Lattice="3.4905 0.0000 0.0000 0.0000 4.9236 0.0000 0.0000 0.0000 10.4655" Properties=species:S:1:pos:R:3 pbc="T T T"
Ce 0.0000 0.0000 0.0000
Ce 1.7453 2.4618 5.2327
Ho 0.0000 0.0000 3.4814
Ho 0.0000 0.0000 6.9841
Ho 1.7453 2.4618 1.7513
Ho 1.7453 2.4618 8.7141
N 0.0000 2.4618 0.0000
N 0.0000 2.4618 3.4852
N 0.0000 2.4618 6.9803
N 1.7453 0.0000 1.7475
N 1.7453 0.0000 5.2327
N 1.7453 0.0000 8.7179
```

---

[4]
Ce2Ho4N: calculated powder XRD pattern (Cu Kα (weighted mean of Kα1 and Kα2)), based on the GGA-PBE geometry in Alexandria.

Principal peaks in the range 2θ = 15–90°, in order of falling intensity:
index, d (Å), 2θ/deg, I/Imax
1 1 4, 2.675, 33.51, 100
1 1 2, 3.126, 28.56, 87
2 0 0, 2.359, 38.15, 67
1 0 5, 2.852, 31.37, 39
2 0 6, 1.850, 49.25, 32
0 0 6, 2.984, 29.95, 32
3 1 4, 1.415, 66.01, 29
2 2 0, 1.668, 55.06, 23
2 1 5, 1.818, 50.19, 21
3 1 2, 1.471, 63.19, 19

Structural model:
```
14
Lattice="4.7174 0.0000 0.0000 0.0000 4.7174 0.0000 0.0000 0.0000 17.9013" Properties=species:S:1:pos:R:3 pbc="T T T"
Ce 0.0000 0.0000 3.2297
Ce 0.0000 0.0000 14.6717
Ce 2.3587 2.3587 5.7210
Ce 2.3587 2.3587 12.1803
Ho 0.0000 0.0000 6.5961
Ho 0.0000 0.0000 11.3052
Ho 0.0000 2.3587 0.0000
Ho 0.0000 2.3587 8.9507
Ho 2.3587 0.0000 0.0000
Ho 2.3587 0.0000 8.9507
Ho 2.3587 2.3587 2.3545
Ho 2.3587 2.3587 15.5468
N 0.0000 0.0000 8.9507
N 2.3587 2.3587 0.0000
```

---

[5]
........

Response
1 3 0, 1.485, 62.54, 15
2 3 3, 1.131, 85.95, 13
1 4 3, 1.101, 88.84, 8
3 1 0, 1.132, 85.85, 6

Structural model:
```
12
Lattice="3.4905 0.0000 0.0000 0.0000 4.9236 0.0000 0.0000 0.0000 10.4655" Properties=species:S:1:pos:R:3 pbc="T T T"
Ce 0.0000 0.0000 0.0000
Ce 1.7453 2.4618 5.2327
Ho 0.0000 0.0000 3.4814
Ho 0.0000 0.0000 6.9841
Ho 1.7453 2.4618 1.7513
Ho 1.7453 2.4618 8.7141
N 0.0000 2.4618 0.0000
N 0.0000 2.4618 3.4852
N 0.0000 2.4618 6.9803
N 1.7453 0.0000 1.7475
N 1.7453 0.0000 5.2327
N 1.7453 0.0000 8.7179
```

---

[4]
Ce2Ho4N: calculated powder XRD pattern (Cu Kα (weighted mean of Kα1 and Kα2)), based on the GGA-PBE geometry in Alexandria.

Principal peaks in the range 2θ = 15–90°, in order of falling intensity:
index, d (Å), 2θ/deg, I/Imax
1 1 4, 2.675, 33.51, 100
1 1 2, 3.126, 28.56, 87
2 0 0, 2.359, 38.15, 67
1 0 5, 2.852, 31.37, 39
2 0 6, 1.850, 49.25, 32
0 0 6, 2.984, 29.95, 32
3 1 4, 1.415, 66.01, 29
2 2 0, 1.668, 55.06, 23
2 1 5, 1.818, 50.19, 21
3 1 2, 1.471, 63.19, 19

Structural model:
```
14
Lattice="4.7174 0.0000 0.0000 0.0000 4.7174 0.0000 0.0000 0.0000 17.9013" Properties=species:S:1:pos:R:3 pbc="T T T"
Ce 0.0000 0.0000 3.2297
Ce 0.0000 0.0000 14.6717
Ce 2.3587 2.3587 5.7210
Ce 2.3587 2.3587 12.1803
Ho 0.0000 0.0000 6.5961
Ho 0.0000 0.0000 11.3052
Ho 0.0000 2.3587 0.0000
Ho 0.0000 2.3587 8.9507
Ho 2.3587 0.0000 0.0000
Ho 2.3587 0.0000 8.9507
Ho 2.3587 2.3587 2.3545
Ho 2.3587 2.3587 15.5468
N 0.0000 0.0000 8.9507
N 2.3587 2.3587 0.0000
```

---

[5]